Activity:
Your job: duplicate the whole of the contents further below word for word.
File:
-- begin --
Record 1
# Na6Fe2P4HO17

A relaxed Na6Fe2P4HO17 crystal (GGA+U, Materials Project).

- SG = No. 1
- ΔE_f (kJ per mole of atoms) = -228.0
- total energy (eV per cell) = -377.45

Lattice parameters (Å, degrees): 5.281 9.381 15.132 80.34 81.41 79.16
Fractional positions:
Na 0.300 0.363 0.020
Na 0.700 0.637 0.980
Na 0.879 0.844 0.493
Na 0.120 0.159 0.506
Na 0.121 0.624 0.133
Na 0.879 0.376 0.868
Na 0.000 0.000 0.000
Na 0.435 0.864 0.355
Na 0.565 0.137 0.644
Na 0.605 0.499 0.273
Na 0.393 0.500 0.730
Na 0.491 0.524 0.509
Fe 0.959 0.970 0.227
Fe 0.041 0.031 0.773
Fe 0.190 0.292 0.269
Fe 0.810 0.708 0.731
P 0.773 0.300 0.123
P 0.227 0.701 0.877
P 0.528 0.825 0.129
P 0.472 0.175 0.871
P 0.998 0.629 0.354
P 0.001 0.371 0.646
P 0.674 0.169 0.391
P 0.326 0.831 0.609
H 0.501 0.999 0.000
H 0.001 0.500 0.499
O 0.070 0.784 0.319
O 0.931 0.215 0.681
O 0.702 0.110 0.490
O 0.298 0.888 0.510
O 0.115 0.583 0.447
O 0.883 0.417 0.554
O 0.854 0.131 0.129
O 0.145 0.869 0.871
O 0.732 0.038 0.335
O 0.269 0.961 0.665
O 0.704 0.634 0.373
O 0.295 0.368 0.628
O 0.392 0.252 0.379
O 0.608 0.747 0.620
O 0.764 0.370 0.024
O 0.236 0.630 0.976
O 0.501 0.337 0.179
O 0.499 0.664 0.821
O 0.635 0.891 0.031
O 0.364 0.109 0.969
O 0.979 0.365 0.162
O 0.022 0.635 0.838
O 0.645 0.883 0.202
O 0.356 0.116 0.798
O 0.225 0.869 0.137
O 0.774 0.131 0.863
O 0.212 0.080 0.261
O 0.788 0.920 0.739
O 0.863 0.281 0.353
O 0.138 0.718 0.646
O 0.609 0.659 0.137
O 0.391 0.341 0.863
O 0.129 0.522 0.285
O 0.868 0.478 0.715


Record 2
# Fe3P4H8NO12

A relaxed Fe3P4H8NO12 crystal (GGA+U, Materials Project).

- SG = No. 14
- ΔE_f (kJ per mole of atoms) = -161.0
- total energy (eV per cell) = -694.46

Lattice parameters (Å, degrees): 9.436 10.263 12.750 90.00 99.90 90.00
Fractional positions:
Fe 0.197 0.252 0.126
Fe 0.303 0.752 0.874
Fe 0.803 0.748 0.874
Fe 0.697 0.248 0.126
Fe 0.225 0.065 0.915
Fe 0.275 0.565 0.085
Fe 0.775 0.935 0.085
Fe 0.725 0.435 0.915
Fe 0.326 0.131 0.365
Fe 0.174 0.631 0.635
Fe 0.674 0.869 0.635
Fe 0.826 0.369 0.365
P 0.974 0.101 0.289
P 0.526 0.601 0.711
P 0.026 0.899 0.711
P 0.474 0.399 0.289
P 0.444 0.025 0.151
P 0.056 0.525 0.849
P 0.556 0.975 0.849
P 0.944 0.475 0.151
P 0.899 0.158 0.940
P 0.601 0.658 0.060
P 0.101 0.842 0.060
P 0.399 0.342 0.940
P 0.176 0.388 0.468
P 0.324 0.888 0.532
P 0.824 0.612 0.532
P 0.676 0.112 0.468
H 0.996 0.082 0.400
H 0.504 0.582 0.600
H 0.004 0.918 0.600
H 0.496 0.418 0.400
H 0.436 0.898 0.110
H 0.064 0.398 0.890
H 0.564 0.102 0.890
H 0.936 0.602 0.110
H 0.886 0.050 0.872
H 0.614 0.550 0.128
H 0.114 0.950 0.128
H 0.386 0.450 0.872
H 0.197 0.460 0.377
H 0.303 0.960 0.623
H 0.803 0.540 0.623
H 0.697 0.040 0.377
H 0.894 0.251 0.600
H 0.606 0.751 0.400
H 0.106 0.749 0.400
H 0.394 0.249 0.600
H 0.014 0.173 0.696
H 0.486 0.673 0.304
H 0.986 0.827 0.304
H 0.514 0.327 0.696
H 0.888 0.267 0.734
H 0.612 0.767 0.266
H 0.112 0.733 0.266
H 0.388 0.233 0.734
H 0.021 0.340 0.682
H 0.479 0.840 0.318
H 0.979 0.660 0.318
H 0.521 0.160 0.682
N 0.955 0.258 0.676
N 0.545 0.758 0.324
N 0.045 0.742 0.324
N 0.455 0.242 0.676
O 0.124 0.140 0.263
O 0.376 0.640 0.737
O 0.876 0.860 0.737
O 0.624 0.360 0.263
O 0.366 0.284 0.266
O 0.134 0.784 0.734
O 0.634 0.716 0.734
O 0.866 0.216 0.266
O 0.327 0.105 0.081
O 0.173 0.605 0.919
O 0.673 0.895 0.919
O 0.827 0.395 0.081
O 0.062 0.177 0.981
O 0.438 0.677 0.019
O 0.938 0.823 0.019
O 0.562 0.323 0.981
O 0.098 0.427 0.145
O 0.402 0.927 0.855
O 0.902 0.573 0.855
O 0.598 0.073 0.145
O 0.318 0.378 0.032
O 0.182 0.878 0.968
O 0.682 0.622 0.968
O 0.818 0.122 0.032
O 0.414 0.012 0.266
O 0.086 0.512 0.734
O 0.586 0.988 0.734
O 0.914 0.488 0.266
O 0.266 0.261 0.470
O 0.234 0.761 0.530
O 0.734 0.739 0.530
O 0.766 0.239 0.470
O 0.264 0.971 0.434
O 0.236 0.471 0.566
O 0.736 0.029 0.566
O 0.764 0.529 0.434
O 0.516 0.143 0.459
O 0.984 0.643 0.541
O 0.484 0.857 0.541
O 0.016 0.357 0.459
O 0.087 0.026 0.763
O 0.413 0.526 0.237
O 0.913 0.974 0.237
O 0.587 0.474 0.763
O 0.329 0.228 0.871
O 0.171 0.728 0.129
O 0.671 0.772 0.129
-- stop --
Outcome:
Record 1
# Na6Fe2P4HO17

A relaxed Na6Fe2P4HO17 crystal (GGA+U, Materials Project).

- SG = No. 1
- ΔE_f (kJ per mole of atoms) = -228.0
- total energy (eV per cell) = -377.45

Lattice parameters (Å, degrees): 5.281 9.381 15.132 80.34 81.41 79.16
Fractional positions:
Na 0.300 0.363 0.020
Na 0.700 0.637 0.980
Na 0.879 0.844 0.493
Na 0.120 0.159 0.506
Na 0.121 0.624 0.133
Na 0.879 0.376 0.868
Na 0.000 0.000 0.000
Na 0.435 0.864 0.355
Na 0.565 0.137 0.644
Na 0.605 0.499 0.273
Na 0.393 0.500 0.730
Na 0.491 0.524 0.509
Fe 0.959 0.970 0.227
Fe 0.041 0.031 0.773
Fe 0.190 0.292 0.269
Fe 0.810 0.708 0.731
P 0.773 0.300 0.123
P 0.227 0.701 0.877
P 0.528 0.825 0.129
P 0.472 0.175 0.871
P 0.998 0.629 0.354
P 0.001 0.371 0.646
P 0.674 0.169 0.391
P 0.326 0.831 0.609
H 0.501 0.999 0.000
H 0.001 0.500 0.499
O 0.070 0.784 0.319
O 0.931 0.215 0.681
O 0.702 0.110 0.490
O 0.298 0.888 0.510
O 0.115 0.583 0.447
O 0.883 0.417 0.554
O 0.854 0.131 0.129
O 0.145 0.869 0.871
O 0.732 0.038 0.335
O 0.269 0.961 0.665
O 0.704 0.634 0.373
O 0.295 0.368 0.628
O 0.392 0.252 0.379
O 0.608 0.747 0.620
O 0.764 0.370 0.024
O 0.236 0.630 0.976
O 0.501 0.337 0.179
O 0.499 0.664 0.821
O 0.635 0.891 0.031
O 0.364 0.109 0.969
O 0.979 0.365 0.162
O 0.022 0.635 0.838
O 0.645 0.883 0.202
O 0.356 0.116 0.798
O 0.225 0.869 0.137
O 0.774 0.131 0.863
O 0.212 0.080 0.261
O 0.788 0.920 0.739
O 0.863 0.281 0.353
O 0.138 0.718 0.646
O 0.609 0.659 0.137
O 0.391 0.341 0.863
O 0.129 0.522 0.285
O 0.868 0.478 0.715


Record 2
# Fe3P4H8NO12

A relaxed Fe3P4H8NO12 crystal (GGA+U, Materials Project).

- SG = No. 14
- ΔE_f (kJ per mole of atoms) = -161.0
- total energy (eV per cell) = -694.46

Lattice parameters (Å, degrees): 9.436 10.263 12.750 90.00 99.90 90.00
Fractional positions:
Fe 0.197 0.252 0.126
Fe 0.303 0.752 0.874
Fe 0.803 0.748 0.874
Fe 0.697 0.248 0.126
Fe 0.225 0.065 0.915
Fe 0.275 0.565 0.085
Fe 0.775 0.935 0.085
Fe 0.725 0.435 0.915
Fe 0.326 0.131 0.365
Fe 0.174 0.631 0.635
Fe 0.674 0.869 0.635
Fe 0.826 0.369 0.365
P 0.974 0.101 0.289
P 0.526 0.601 0.711
P 0.026 0.899 0.711
P 0.474 0.399 0.289
P 0.444 0.025 0.151
P 0.056 0.525 0.849
P 0.556 0.975 0.849
P 0.944 0.475 0.151
P 0.899 0.158 0.940
P 0.601 0.658 0.060
P 0.101 0.842 0.060
P 0.399 0.342 0.940
P 0.176 0.388 0.468
P 0.324 0.888 0.532
P 0.824 0.612 0.532
P 0.676 0.112 0.468
H 0.996 0.082 0.400
H 0.504 0.582 0.600
H 0.004 0.918 0.600
H 0.496 0.418 0.400
H 0.436 0.898 0.110
H 0.064 0.398 0.890
H 0.564 0.102 0.890
H 0.936 0.602 0.110
H 0.886 0.050 0.872
H 0.614 0.550 0.128
H 0.114 0.950 0.128
H 0.386 0.450 0.872
H 0.197 0.460 0.377
H 0.303 0.960 0.623
H 0.803 0.540 0.623
H 0.697 0.040 0.377
H 0.894 0.251 0.600
H 0.606 0.751 0.400
H 0.106 0.749 0.400
H 0.394 0.249 0.600
H 0.014 0.173 0.696
H 0.486 0.673 0.304
H 0.986 0.827 0.304
H 0.514 0.327 0.696
H 0.888 0.267 0.734
H 0.612 0.767 0.266
H 0.112 0.733 0.266
H 0.388 0.233 0.734
H 0.021 0.340 0.682
H 0.479 0.840 0.318
H 0.979 0.660 0.318
H 0.521 0.160 0.682
N 0.955 0.258 0.676
N 0.545 0.758 0.324
N 0.045 0.742 0.324
N 0.455 0.242 0.676
O 0.124 0.140 0.263
O 0.376 0.640 0.737
O 0.876 0.860 0.737
O 0.624 0.360 0.263
O 0.366 0.284 0.266
O 0.134 0.784 0.734
O 0.634 0.716 0.734
O 0.866 0.216 0.266
O 0.327 0.105 0.081
O 0.173 0.605 0.919
O 0.673 0.895 0.919
O 0.827 0.395 0.081
O 0.062 0.177 0.981
O 0.438 0.677 0.019
O 0.938 0.823 0.019
O 0.562 0.323 0.981
O 0.098 0.427 0.145
O 0.402 0.927 0.855
O 0.902 0.573 0.855
O 0.598 0.073 0.145
O 0.318 0.378 0.032
O 0.182 0.878 0.968
O 0.682 0.622 0.968
O 0.818 0.122 0.032
O 0.414 0.012 0.266
O 0.086 0.512 0.734
O 0.586 0.988 0.734
O 0.914 0.488 0.266
O 0.266 0.261 0.470
O 0.234 0.761 0.530
O 0.734 0.739 0.530
O 0.766 0.239 0.470
O 0.264 0.971 0.434
O 0.236 0.471 0.566
O 0.736 0.029 0.566
O 0.764 0.529 0.434
O 0.516 0.143 0.459
O 0.984 0.643 0.541
O 0.484 0.857 0.541
O 0.016 0.357 0.459
O 0.087 0.026 0.763
O 0.413 0.526 0.237
O 0.913 0.974 0.237
O 0.587 0.474 0.763
O 0.329 0.228 0.871
O 0.171 0.728 0.129
O 0.671 0.772 0.129